Data =
'''
Calculated powder XRD pattern of Na13Pd2 for Cu Kα (weighted mean of Kα1 and Kα2), from a structure optimized by DFT (PBE).
Peak positions follow from Bragg's law for the DFT cell and can differ from measured ones.

Principal peaks in the range 10 to 90 degrees two-theta, by intensity:
12.29 deg, rel. 100, (0 1 -1); 33.92 deg, rel. 48, (2 1 -2); 31.26 deg, rel. 42, (2 -2 1); 17.68 deg, rel. 41, (1 0 1); 15.86 deg, rel. 35, (1 -1 0); 16.08 deg, rel. 33, (1 0 -1); 23.50 deg, rel. 24, (1 -2 1); 18.86 deg, rel. 22, (0 1 1); 20.05 deg, rel. 22, (1 1 0); 36.00 deg, rel. 21, (-2 2 1)

Atomic structure:
```
data_Na13Pd2
_chemical_formula_sum 'Na13 Pd2'
_symmetry_space_group_name_H-M 'P -1'
_symmetry_Int_Tables_number 2
_symmetry_space_group_name_Hall '-P 1'
_cell_length_a 6.8046
_cell_length_b 8.1886
_cell_length_c 9.4153
_cell_angle_alpha 113.42
_cell_angle_beta 90.24
_cell_angle_gamma 102.08
loop_
_atom_site_label
_atom_site_fract_x
_atom_site_fract_y
_atom_site_fract_z
Na1 0.0000 0.0000 0.0000
Na2 0.0492 0.4348 0.6322
Na3 0.1668 0.9854 0.6559
Na4 0.2267 0.4232 0.0395
Na5 0.2890 0.9188 0.2603
Na6 0.4309 0.7714 0.8594
Na7 0.4825 0.6555 0.4391
Pd1 0.1947 0.2795 0.3051
```

* * * * *

Record 1
Diffraction record for ErAl4InIr. The PXRD pattern is simulated, not measured: it uses a GGA-PBE-relaxed structure and Cu Ka.
Kinematic intensities with the Lorentz-polarization factor, no thermal factor.

Largest 6 diffraction maxima, by intensity, 2θ from 5° to 70°:
- d 2.311, rel. 100.0
- d 4.357, rel. 47.7
- d 3.081, rel. 47.4
- d 2.179, rel. 46.5
- d 3.493, rel. 38.0
- d 2.725, rel. 29.4

Structural model:
a b c (Å): 4.3574 4.3574 6.9851
angles (deg): 90.00 90.00 90.00
Fractional positions:
Er: 0.0000 0.0000 0.0000
Al: 0.0000 0.5000 0.3094
Al: 0.0000 0.5000 0.6906
Al: 0.5000 0.0000 0.3094
Al: 0.5000 0.0000 0.6906
In: 0.5000 0.5000 0.0000
Ir: 0.0000 0.0000 0.5000


Record 2
Diffraction record for LaErAlIr2. The PXRD pattern is simulated, not measured: it uses a GGA-PBE-relaxed structure and Cu Ka.
Kinematic intensities with the Lorentz-polarization factor, no thermal factor.

Largest 6 diffraction maxima, by intensity, 2θ from 5° to 70°:
- d 2.310, rel. 100.0
- d 2.433, rel. 80.9
- d 2.382, rel. 78.6
- d 2.676, rel. 49.1
- d 3.750, rel. 46.4
- d 1.580, rel. 43.4

Structural model:
a b c (Å): 5.6506 5.6506 5.6506
angles (deg): 136.88 117.48 78.97
Fractional positions:
La: 0.0000 0.0000 0.0000
Er: 0.6027 0.6027 0.0000
Al: 0.3015 0.8015 0.5000
Ir: 0.0433 0.3002 0.7431
Ir: 0.5571 0.3002 0.2569


Record 3
Diffraction record for Er2Al2Ir3Pd. The PXRD pattern is simulated, not measured: it uses a GGA-PBE-relaxed structure and Cu Ka.
Kinematic intensities with the Lorentz-polarization factor, no thermal factor.

Largest 6 diffraction maxima, by intensity, 2θ from 5° to 70°:
- d 2.354, rel. 100.0
- d 2.143, rel. 56.5
- d 3.711, rel. 45.1
- d 1.585, rel. 29.7
- d 1.409, rel. 8.0
- d 1.856, rel. 6.8

Structural model:
a b c (Å): 4.2856 4.2856 9.1366
angles (deg): 90.00 90.00 120.00
Fractional positions:
Er: 0.0000 0.0000 0.0000
Er: 0.3333 0.6667 0.5060
Al: 0.6667 0.3333 0.2370
Al: 0.6667 0.3333 0.7494
Ir: 0.0000 0.0000 0.6711
Ir: 0.3333 0.6667 0.1629
Ir: 0.3333 0.6667 0.8399
Pd: 0.0000 0.0000 0.3381


Record 4
Diffraction record for Er3Mg3AlTl2. The PXRD pattern is simulated, not measured: it uses a GGA-PBE-relaxed structure and Cu Ka.
Kinematic intensities with the Lorentz-polarization factor, no thermal factor.

Largest 6 diffraction maxima, by intensity, 2θ from 5° to 70°:
- d 2.892, rel. 100.0
- d 2.639, rel. 77.4
- d 6.449, rel. 62.3
- d 2.151, rel. 27.5
- d 2.437, rel. 24.8
- d 3.723, rel. 22.4

Structural model:
a b c (Å): 7.4463 7.4463 4.5935
angles (deg): 90.00 90.00 120.00
Fractional positions:
Er: 0.0000 0.5704 0.0000
Er: 0.4296 0.4296 0.0000
Er: 0.5704 0.0000 0.0000
Mg: 0.0000 0.2363 0.5000
Mg: 0.2363 0.0000 0.5000
Mg: 0.7637 0.7637 0.5000
Al: 0.0000 0.0000 0.0000
Tl: 0.3333 0.6667 0.5000
Tl: 0.6667 0.3333 0.5000


Record 5
'''
Assignment =
Could you restate the part of the material further up that starts with the line with "Na2 0.0492" and stops after the one with "2.151, rel."?
Outcome =
Na2 0.0492 0.4348 0.6322
Na3 0.1668 0.9854 0.6559
Na4 0.2267 0.4232 0.0395
Na5 0.2890 0.9188 0.2603
Na6 0.4309 0.7714 0.8594
Na7 0.4825 0.6555 0.4391
Pd1 0.1947 0.2795 0.3051
```

* * * * *

Record 1
Diffraction record for ErAl4InIr. The PXRD pattern is simulated, not measured: it uses a GGA-PBE-relaxed structure and Cu Ka.
Kinematic intensities with the Lorentz-polarization factor, no thermal factor.

Largest 6 diffraction maxima, by intensity, 2θ from 5° to 70°:
- d 2.311, rel. 100.0
- d 4.357, rel. 47.7
- d 3.081, rel. 47.4
- d 2.179, rel. 46.5
- d 3.493, rel. 38.0
- d 2.725, rel. 29.4

Structural model:
a b c (Å): 4.3574 4.3574 6.9851
angles (deg): 90.00 90.00 90.00
Fractional positions:
Er: 0.0000 0.0000 0.0000
Al: 0.0000 0.5000 0.3094
Al: 0.0000 0.5000 0.6906
Al: 0.5000 0.0000 0.3094
Al: 0.5000 0.0000 0.6906
In: 0.5000 0.5000 0.0000
Ir: 0.0000 0.0000 0.5000


Record 2
Diffraction record for LaErAlIr2. The PXRD pattern is simulated, not measured: it uses a GGA-PBE-relaxed structure and Cu Ka.
Kinematic intensities with the Lorentz-polarization factor, no thermal factor.

Largest 6 diffraction maxima, by intensity, 2θ from 5° to 70°:
- d 2.310, rel. 100.0
- d 2.433, rel. 80.9
- d 2.382, rel. 78.6
- d 2.676, rel. 49.1
- d 3.750, rel. 46.4
- d 1.580, rel. 43.4

Structural model:
a b c (Å): 5.6506 5.6506 5.6506
angles (deg): 136.88 117.48 78.97
Fractional positions:
La: 0.0000 0.0000 0.0000
Er: 0.6027 0.6027 0.0000
Al: 0.3015 0.8015 0.5000
Ir: 0.0433 0.3002 0.7431
Ir: 0.5571 0.3002 0.2569


Record 3
Diffraction record for Er2Al2Ir3Pd. The PXRD pattern is simulated, not measured: it uses a GGA-PBE-relaxed structure and Cu Ka.
Kinematic intensities with the Lorentz-polarization factor, no thermal factor.

Largest 6 diffraction maxima, by intensity, 2θ from 5° to 70°:
- d 2.354, rel. 100.0
- d 2.143, rel. 56.5
- d 3.711, rel. 45.1
- d 1.585, rel. 29.7
- d 1.409, rel. 8.0
- d 1.856, rel. 6.8

Structural model:
a b c (Å): 4.2856 4.2856 9.1366
angles (deg): 90.00 90.00 120.00
Fractional positions:
Er: 0.0000 0.0000 0.0000
Er: 0.3333 0.6667 0.5060
Al: 0.6667 0.3333 0.2370
Al: 0.6667 0.3333 0.7494
Ir: 0.0000 0.0000 0.6711
Ir: 0.3333 0.6667 0.1629
Ir: 0.3333 0.6667 0.8399
Pd: 0.0000 0.0000 0.3381


Record 4
Diffraction record for Er3Mg3AlTl2. The PXRD pattern is simulated, not measured: it uses a GGA-PBE-relaxed structure and Cu Ka.
Kinematic intensities with the Lorentz-polarization factor, no thermal factor.

Largest 6 diffraction maxima, by intensity, 2θ from 5° to 70°:
- d 2.892, rel. 100.0
- d 2.639, rel. 77.4
- d 6.449, rel. 62.3
- d 2.151, rel. 27.5